Boeing responcible for UFO sightings


Secret double agent deer
Registered Senior Member

Boeing, the world's largest aircraft manufacturer says it is working on anti-gravity propulsion, which could revolutionize conventional aviation.


"GRASP," or Gravity Research for Advanced Space Propulsion, was only recently reported in Jane's Defence Weekly, but the U.S. military may have had the technology for years.

Quantum chemistry results, kept here for reference:
........
[1]
This record from OMol25 describes a structure of composition C34H35BrMoN7O5 at a distorted geometry. The level of theory is the ωB97M-V functional and the def2-TZVPD basis.

ORCA input file:
```
! wB97M-V def2-TZVPD RIJCOSX def2/J DEFGRID3
* xyz 3 1
Mo -0.7226 1.1287 0.6067
O -3.3135 -0.0514 -1.9506
C -3.4959 -1.4031 -1.8154
C -4.6178 -2.0206 -2.3569
C -4.8010 -3.3854 -2.2370
C -3.8750 -4.1495 -1.5421
C -2.7638 -3.5356 -0.9965
C -2.5492 -2.1653 -1.1368
C -1.2160 -1.6488 -0.6140
O -1.0785 -0.2748 -0.4082
N -0.1681 -2.0577 -1.5347
N 0.9827 -1.3753 -1.5106
C 2.0150 -1.8548 -2.0978
C 3.2629 -1.1276 -2.1595
Br 3.1117 0.7542 -1.8525
C 4.4888 -1.5997 -2.4443
C 4.9329 -2.9830 -2.4344
C 4.2472 -4.0114 -1.7692
C 4.7707 -5.2889 -1.7180
C 5.9974 -5.5677 -2.3076
C 6.7014 -4.5573 -2.9485
C 6.1754 -3.2817 -3.0127
H -3.9426 0.2710 -2.6048
H -5.3422 -1.4203 -2.8975
H -5.6642 -3.8534 -2.6897
H -4.0098 -5.2168 -1.4378
H -2.0398 -4.1299 -0.4483
H -1.0459 -2.1462 0.3582
H -0.2142 -2.9989 -1.9054
H 1.9744 -2.8093 -2.6251
H 5.2611 -0.8728 -2.6691
H 3.3285 -3.7927 -1.2424
H 4.2341 -6.0730 -1.2003
H 6.4102 -6.5655 -2.2485
H 7.6644 -4.7657 -3.3943
H 6.7172 -2.4959 -3.5251
N -3.3798 1.0149 2.5584
C -2.4032 0.1253 2.9589
C -2.6512 -0.6010 4.1287
C -1.7476 -1.5443 4.5537
C -0.6002 -1.7666 3.7854
C -0.4084 -1.0046 2.6696
N -1.2736 -0.0389 2.2482
C -3.6117 1.7209 1.3980
C -4.9102 2.2041 1.2017
C -5.2094 2.9223 0.0693
C -4.1920 3.1802 -0.8531
C -2.9409 2.6951 -0.5983
N -2.6245 1.9745 0.5146
H -4.1793 1.0092 3.1733
H -3.5640 -0.4227 4.6821
H -1.9261 -2.1052 5.4611
H 0.1204 -2.5227 4.0613
H 0.4610 -1.1501 2.0415
H -5.6742 1.9941 1.9389
H -6.2169 3.2768 -0.1030
H -4.3798 3.7428 -1.7562
H -2.1287 2.8649 -1.2863
O 1.4705 0.5742 0.8231
C 2.0716 1.0857 2.0152
C 1.2336 2.1746 2.6265
C 1.6630 2.8458 3.7534
C 0.8640 3.8357 4.3045
C -0.3320 4.1463 3.6623
C -0.6938 3.4451 2.5405
N 0.0490 2.4289 2.0232
H 1.8929 1.0396 0.0695
H 3.0675 1.4713 1.7976
H 2.1832 0.2630 2.7235
H 2.6194 2.5935 4.1925
H 1.1654 4.3567 5.2032
H -0.9765 4.9328 4.0285
H -1.6026 3.6940 2.0104
N 2.6395 4.6823 -2.1326
C 1.2219 4.2228 -2.1613
C 1.0513 3.2201 -0.9960
O 2.0375 3.0830 -0.2531
O -0.0603 2.6228 -0.9238
H 2.7443 5.6927 -2.0627
H 3.1833 4.3563 -2.9319
H 3.0027 4.2113 -1.2621
H 0.9893 3.7194 -3.0969
H 0.5395 5.0591 -2.0305
*
```

The total energy is -128369.952 eV.

Charges per atom according to Löwdin partitioning, unit e:
1. Mo 1.80
2. O 0.04
3. C -0.25
4. C 0.00
5. C -0.04
6. C -0.06
7. C -0.04
8. C -0.11
9. C -0.30
10. O -0.26
11. N 0.01
12. N 0.01
13. C -0.19
14. C -0.58
15. Br 0.91
16. C -0.09
17. C -0.22
18. C -0.04
19. C -0.06
20. C -0.05
21. C -0.05
22. C -0.02
23. H 0.12
24. H 0.13
25. H 0.12
26. H 0.12
27. H 0.12
28. H 0.14
29. H 0.15
30. H 0.14
31. H 0.11
32. H 0.09
33. H 0.11
34. H 0.12
35. H 0.12
36. H 0.12
37. N 0.15
38. C -0.24
39. C 0.03
40. C 0.01
41. C -0.01
42. C -0.11
43. N -0.04
44. C -0.26
45. C 0.03
46. C 0.01
47. C -0.02
48. C -0.10
49. N -0.05
50. H 0.15
51. H 0.14
52. H 0.14
........

The National Institute for Discovery Science (NIDS), based in Nevada, say that mysterious U.S. military craft using this kind of technology have been skirting the skies since the 1980s.

I just thought i would post that, because a lot of people have been saying it, and now Jane's Defence Weekly is too.

The thing i find more disturbing is that the end of this article says that the $27billion that goes into black projects is 17% of the US's 2004 budget.... didnt Bush just call for $87Billion dollars to go to the military to help take care of that gurilla war in Iraq? Where in the hell are we going to get $87billion when he has a hardon for tax cuts? Is the military the only federal orginization thats going to get any money for the next couple of years? Or is he perhaps using some sort of anti-deficit economic technology harvested from crashed UFOs?
Hey, why not sink all of the nations money into the military? I mean it worked so very well for the Soviet Union, didn't it? The war on terror can't be won with educated children, or universal health care, we need a lot of tanks and bombs and UFOs to root out those terrorists wherevery they hide!

/*
Entry from the OMol25 dataset: a structure of composition C14H25BrCl13NO4 (ωB97M-V/def2-TZVPD).

Geometry (Å):
N: -1.5732 -1.6174 -0.6651
C: -0.3676 -1.1087 0.0346
C: 0.4071 0.0269 -0.7168
C: 0.0985 1.5548 -0.3621
C: -0.2807 1.8435 1.1016
C: 0.5000 1.1471 2.2454
C: 1.9873 0.8334 1.9562
O: 2.3420 -0.3504 2.6741
O: 0.1507 3.2433 1.2566
C: -0.8705 4.0817 0.9539
O: -0.7639 5.2154 0.9771
O: -2.0020 3.3374 0.6938
C: -1.7950 2.1634 1.4675
Cl: -1.9469 2.7928 3.1728
Br: -3.2212 0.8821 1.2258
H: -1.7682 -2.5232 -0.2146
H: -1.2079 -1.8912 -1.5774
H: -0.6160 -0.8906 1.0779
H: 0.3215 -1.9690 0.0540
H: 1.4809 -0.1839 -0.6613
H: 0.1616 -0.0981 -1.7863
H: 1.0030 2.1378 -0.6151
H: -0.6759 1.9491 -1.0270
H: 0.4935 1.8573 3.0863
H: -0.0870 0.2838 2.5876
H: 2.6178 1.6755 2.2881
H: 2.2241 0.6724 0.9057
H: 1.7132 -0.4790 3.3812
C: 2.2790 -4.8093 -0.6063
Cl: 3.5325 -3.5901 -0.3603
Cl: 0.8166 -4.0988 -1.3033
H: 2.6548 -5.5692 -1.2824
H: 2.0304 -5.2547 0.3509
C: -3.6754 1.7322 -3.1085
Cl: -3.0300 3.3500 -3.4391
Cl: -2.9357 1.0153 -1.6696
H: -4.7456 1.8089 -2.9501
H: -3.4720 1.0950 -3.9632
C: 4.2483 1.4317 -2.3869
Cl: 3.1665 0.1750 -2.9816
Cl: 3.5996 2.1775 -0.9256
H: 5.2107 0.9897 -2.1539
H: 4.3640 2.1892 -3.1541
C: 0.6420 5.5235 4.8004
Cl: 0.3636 3.9357 5.5294
Cl: 2.2484 6.1451 5.1974
H: 0.5565 5.4333 3.7218
H: -0.1039 6.2152 5.1750
C: -2.0636 -5.6461 0.7974
Cl: -2.4398 -3.9398 1.0865
Cl: -1.8983 -5.9960 -0.9293
H: -1.1309 -5.8881 1.2952
H: -2.8669 -6.2528 1.2000
C: -1.1192 -3.4958 -4.2574
Cl: 0.1309 -2.2696 -4.0125
Cl: -2.5846 -2.7972 -4.9553
H: -0.7371 -4.2548 -4.9310
H: -1.3661 -3.9412 -3.2982

Its molecular weight is 812.15 g mol⁻¹. The LUMO energy is 0.18 eV. The value obtained for the HOMO energy is -9.0 eV. As for the orbital gap: 9.2 eV.



Entry from the OMol25 dataset: a structure of composition C8H20AlB2O4 (ωB97M-V/def2-TZVPD).

Geometry (Å):
Al: -0.2671 -0.9498 -1.3204
B: 2.7216 -0.4812 -1.8093
H: 2.6294 -1.5492 -1.9316
H: 2.3544 -0.2092 -0.8319
H: 3.7780 -0.2713 -1.8745
H: 2.2586 0.0491 -2.6270
B: -3.0308 -1.3848 -2.5732
H: -3.0034 -1.1213 -1.5272
H: -2.8041 -0.4835 -3.1214
H: -2.3298 -2.1735 -2.7986
H: -4.0204 -1.6699 -2.8952
O: -1.6115 -1.8687 1.1194
C: -1.8601 -2.3585 2.2312
O: -2.5533 -1.7216 3.2588
C: -2.5179 -2.4075 4.5063
C: -2.0745 -3.8224 4.0680
C: -1.2135 -3.6119 2.8072
H: -3.5724 -2.4926 4.7690
H: -1.9217 -1.8705 5.2440
H: -2.8967 -4.4702 3.7640
H: -1.5936 -4.3768 4.8738
H: -1.1463 -4.4449 2.1074
H: -0.1874 -3.4335 3.1287
O: 0.6518 1.8245 -0.6791
C: 1.3185 2.8059 -1.0096
O: 1.8978 3.5562 -0.1443
C: 2.6352 4.7055 -0.6494
C: 2.5251 4.5637 -2.1198
C: 1.5993 3.3477 -2.4581
H: 3.6671 4.5552 -0.3321
H: 2.3031 5.6424 -0.2021
H: 3.5609 4.5187 -2.4562
H: 2.1041 5.4599 -2.5755
H: 1.9627 2.5128 -3.0571
H: 0.6369 3.6309 -2.8844
*/
End of the records of molecules >

Everyone do me a favor and don't vote Bush at the next election.
Sorry Billy, your history book only goes up to 1973 because Ronald Regan decided those greedy schools dont need so much money. And now Bush is carying on the legacy! Who needs higher SAT scores, we need a more stealthly bomber and er... maybe one that dosn't need wings, ooh I like it.

Why is it that we only find anti-gravity drives, and anti-matter reactors, on those crashed ailen craft, never a plan for prescription drug benifits for seiniors.
Thanks for that link bandwidthbandit, I thought it was all starting to sound like, well, complete bullshit, and it was.

I've heard of this Podkletnov before, and like the article said, so far nobody has been able to replicate his experiments. There's another researcher in the field, can't remember her name, who reckons she may have found a mathematical proof of his work, but so far, none of it has come to fruition. I think it all smacks of 'cold fusion' hype myself.

Note the one obvious flaw in the second article;

"An anti-gravity beam four inches (10 centimeters) wide has been demonstrated in Russia, successfully repelling objects more than a half-mile (1 kilometer) away with negligible power loss. "

Eh? An anti-GRAVITY beam, repelling matter? I think they are a little confused here. Anti-gravity would merely negate the effect of gravity, making an object weightless, but to repel an object, means it's exerting another force, but it's not countering gravity per se?

So, it's starting to sound like unscientific hokum. Gravity is one of the least understood forces, to have anti gravity capabilities would be really big news, and it would have broken by now of there were craft powered by it 'since the 80's' as stated in the first article.
aww too good to be true. That first article did sound a little to sensationalist. Probably some "errors" were made by boeing staff in how they reported about what the company was doing with anti-gravity to try to generate enough hype for thier department to get some fatter allowances from the company.

also, yes anti-gravity would repel matter you dope. Gravity is the force of masses attraction to mass, hence anti-gravity would be mass repulsing mass. They would only cancle eachother out if they were present in equil amounts.
Originally posted by SpyMoose

also, yes anti-gravity would repel matter you dope. Gravity is the force of masses attraction to mass, hence anti-gravity would be mass repulsing mass. They would only cancle eachother out if they were present in equil amounts.

Anti gravity as stated in that article would not be _mass_ repelling mass, but rather a beam generator repelling mass. And gravity is a property of matter, not 'beams'. We'd have to find a strange form of matter that repelled normal matter to have discovered real 'anti-gravity' wouldn't we? Also at present, we can't focus normal gravity into a beam, how come 'anti gravity' can be made into a beam? If it's really anti-gravity, it should possess the exact same characteristics, apart form the direction of it's force.

As anti-matter is still attracted to regular matter, and itself, it looks like gravity is always attractive, and doesn't have an opposite pole, so the best we could hope for, would be to find a way of blocking the exchange of gravitons, or whatever mechanism gravitational energy is exchanged. Now, if Podkletnov had discovered a way to make anti-gravitons, and make regular matter interact with them, we'd be talking turkey.
Here is the latest [I guess] paper by Evgeny Podkletnov and Giovanni Modanese.

The detection of apparent anomalous forces in the vicinity of high-Tc superconductors under non equilibrium conditions has stimulated an experimental research in which the operating parameters of the experiment have been pushed to values higher than those employed in previous attempts. The results confirm the existence of an unexpected physical interaction. An apparatus has been constructed and tested in which the superconductor is subjected to peak currents in excess of 10^4 A, surface potentials in excess of 1 MV, trapped magnetic field up to 1 T, and temperature down to 40 K. In order to produce the required currents a high voltage discharge technique has been employed. Discharges originating from a superconducting ceramic electrode are accompanied by the emission of radiation which propagates in a focused beam without noticeable attenuation through different materials and exerts a short repulsive force on small movable objects along the propagation axis. Within the measurement error (5 to 7 %) the impulse is proportional to the mass of the objects and independent on their composition. It therefore resembles a gravitational impulse. The observed phenomenon appears to be absolutely new and unprecedented in the literature. It cannot be understood in the framework of general relativity. A theory is proposed which combines a quantum gravity approach with anomalous vacuum fluctuations.